┌──
1.
The following is a GGA+U calculation of crystalline LiZnCo4O8 at its relaxed geometry, from Materials Project.

Cell lengths 2.906, 7.427, 7.559 Å; angles 69.67, 88.55, 81.82 degrees
Fractional positions:
O  0.423  0.489  0.019
Li  0.857  0.549  0.508
O  0.025  0.342  0.401
O  0.827  0.681  0.693
Zn  0.551  0.993  0.180
O  0.467  0.375  0.689
Co  0.015  0.569  0.166
Co  0.946  0.390  0.870
Co  0.259  0.847  0.599
O  0.679  0.000  0.442
O  0.006  0.147  0.037
O  0.515  0.710  0.247
Co  0.569  0.206  0.553
O  0.115  0.064  0.694

## Properties
space group	No. 1
ΔE_f	-28.67	kcal/mol of atoms
energy	-5.468	eV/atom
E (MP2020)	-6.3281	eV per atom
total magnetic moment	11.01	μB per cell

---

2.
The following is a GGA+U calculation of crystalline LiZnCo4O8 at its relaxed geometry, from Materials Project.

Cell lengths 2.956, 7.512, 7.726 Å; angles 66.62, 78.18, 80.18 degrees
Fractional positions:
Co  0.281  0.855  0.621
O  0.840  0.677  0.706
Co  0.107  0.583  0.202
O  0.875  0.161  0.061
O  0.455  0.359  0.748
Co  0.863  0.417  0.879
O  0.062  0.365  0.416
Co  0.578  0.220  0.583
O  0.261  0.472  0.014
O  0.142  0.034  0.757
O  0.747  0.031  0.465
Li  0.262  0.176  0.250
Zn  0.487  0.022  0.976
O  0.543  0.749  0.158

## Properties
space group	No. 1
ΔE_f	-29.42	kcal/mol of atoms
energy	-5.500	eV/atom
E (MP2020)	-6.3603	eV per atom
total magnetic moment	11.00	μB per cell

---

3.
The following is a GGA+U calculation of crystalline LiZnCo4O8 at its relaxed geometry, from Materials Project.

Cell lengths 2.967, 7.070, 7.528 Å; angles 74.51, 78.76, 78.00 degrees
Fractional positions:
O  0.132  0.346  0.394
O  0.481  0.738  0.283
O  0.236  0.543  0.996
O  0.458  0.370  0.720
Co  0.310  0.832  0.548
O  0.894  0.192  0.023
O  0.786  0.019  0.409
Co  0.619  0.219  0.547
Co  0.056  0.606  0.219
O  0.130  0.067  0.678
Co  0.851  0.454  0.852
Li  0.516  0.082  0.882
O  0.815  0.694  0.678
Zn  0.323  0.148  0.209

## Properties
space group	No. 1
ΔE_f	-29.10	kcal/mol of atoms
energy	-5.486	eV/atom
E (MP2020)	-6.3464	eV per atom
total magnetic moment	9.00	μB per cell

---

4.
The following is a GGA+U calculation of crystalline Lu4MgCo4O12 at its relaxed geometry, from Materials Project.

Cell lengths 5.210, 5.963, 7.105 Å; angles 90.02, 89.84, 93.47 degrees
Fractional positions:
O  0.804  0.829  0.435
O  0.801  0.831  0.063
Lu  0.913  0.139  0.251
O  0.186  0.161  0.559
O  0.361  0.953  0.251
Co  0.001  0.474  0.518
O  0.665  0.308  0.053
O  0.318  0.678  0.547
O  0.133  0.444  0.251
O  0.618  0.046  0.750
Lu  0.000  0.904  0.750
Mg  0.069  0.750  0.244
O  0.315  0.677  0.955
O  0.186  0.160  0.942
Lu  0.538  0.580  0.251
Co  0.485  0.996  0.502
Lu  0.461  0.397  0.750
Co  0.000  0.470  0.981
O  0.665  0.309  0.447
Co  0.485  0.997  0.998
O  0.860  0.542  0.750

## Properties
space group	No. 1
ΔE_f	-58.02	kcal/mol of atoms
energy	-6.930	eV/atom
E (MP2020)	-7.6345	eV per atom
total magnetic moment	0.00	μB per cell

---

5.
The following is a GGA+U calculation of crystalline Lu2MnCoO6 at its relaxed geometry, from Materials Project.

Cell lengths 5.533, 5.193, 7.551 Å; angles 90.53, 90.00, 90.00 degrees
Fractional positions:
O  0.188  0.200  0.060
O  0.688  0.300  0.440
O  0.549  0.874  0.259
O  0.049  0.626  0.241
Lu  0.575  0.526  0.748
O  0.812  0.800  0.940
Co  0.500  0.000  0.000
O  0.312  0.700  0.560
O  0.793  0.819  0.568
O  0.951  0.374  0.759
O  0.207  0.181  0.432
Mn  0.500  0.000  0.500
Co  0.000  0.500  0.500
O  0.293  0.681  0.932
O  0.451  0.126  0.741
Mn  0.000  0.500  0.000
Lu  0.925  0.026  0.248
O  0.707  0.319  0.068
Lu  0.075  0.974  0.752
Lu  0.425  0.474  0.252

## Properties
space group	No. 14
ΔE_f	-65.83	kcal/mol of atoms
energy	-7.612	eV/atom
E (MP2020)	-8.3548	eV per atom
total magnetic moment	10.00	μB per cell

---

6.
The following is a GGA+U calculation of crystalline MgMn2CoO6 at its relaxed geometry, from Materials Project.

Cell lengths 6.498, 2.986, 6.081 Å; angles 85.97, 101.67, 76.98 degrees
└──

The reader should set down the whole of the listing further above without additions.

1.
The following is a GGA+U calculation of crystalline LiZnCo4O8 at its relaxed geometry, from Materials Project.

Cell lengths 2.906, 7.427, 7.559 Å; angles 69.67, 88.55, 81.82 degrees
Fractional positions:
O  0.423  0.489  0.019
Li  0.857  0.549  0.508
O  0.025  0.342  0.401
O  0.827  0.681  0.693
Zn  0.551  0.993  0.180
O  0.467  0.375  0.689
Co  0.015  0.569  0.166
Co  0.946  0.390  0.870
Co  0.259  0.847  0.599
O  0.679  0.000  0.442
O  0.006  0.147  0.037
O  0.515  0.710  0.247
Co  0.569  0.206  0.553
O  0.115  0.064  0.694

## Properties
space group	No. 1
ΔE_f	-28.67	kcal/mol of atoms
energy	-5.468	eV/atom
E (MP2020)	-6.3281	eV per atom
total magnetic moment	11.01	μB per cell

---

2.
The following is a GGA+U calculation of crystalline LiZnCo4O8 at its relaxed geometry, from Materials Project.

Cell lengths 2.956, 7.512, 7.726 Å; angles 66.62, 78.18, 80.18 degrees
Fractional positions:
Co  0.281  0.855  0.621
O  0.840  0.677  0.706
Co  0.107  0.583  0.202
O  0.875  0.161  0.061
O  0.455  0.359  0.748
Co  0.863  0.417  0.879
O  0.062  0.365  0.416
Co  0.578  0.220  0.583
O  0.261  0.472  0.014
O  0.142  0.034  0.757
O  0.747  0.031  0.465
Li  0.262  0.176  0.250
Zn  0.487  0.022  0.976
O  0.543  0.749  0.158

## Properties
space group	No. 1
ΔE_f	-29.42	kcal/mol of atoms
energy	-5.500	eV/atom
E (MP2020)	-6.3603	eV per atom
total magnetic moment	11.00	μB per cell

---

3.
The following is a GGA+U calculation of crystalline LiZnCo4O8 at its relaxed geometry, from Materials Project.

Cell lengths 2.967, 7.070, 7.528 Å; angles 74.51, 78.76, 78.00 degrees
Fractional positions:
O  0.132  0.346  0.394
O  0.481  0.738  0.283
O  0.236  0.543  0.996
O  0.458  0.370  0.720
Co  0.310  0.832  0.548
O  0.894  0.192  0.023
O  0.786  0.019  0.409
Co  0.619  0.219  0.547
Co  0.056  0.606  0.219
O  0.130  0.067  0.678
Co  0.851  0.454  0.852
Li  0.516  0.082  0.882
O  0.815  0.694  0.678
Zn  0.323  0.148  0.209

## Properties
space group	No. 1
ΔE_f	-29.10	kcal/mol of atoms
energy	-5.486	eV/atom
E (MP2020)	-6.3464	eV per atom
total magnetic moment	9.00	μB per cell

---

4.
The following is a GGA+U calculation of crystalline Lu4MgCo4O12 at its relaxed geometry, from Materials Project.

Cell lengths 5.210, 5.963, 7.105 Å; angles 90.02, 89.84, 93.47 degrees
Fractional positions:
O  0.804  0.829  0.435
O  0.801  0.831  0.063
Lu  0.913  0.139  0.251
O  0.186  0.161  0.559
O  0.361  0.953  0.251
Co  0.001  0.474  0.518
O  0.665  0.308  0.053
O  0.318  0.678  0.547
O  0.133  0.444  0.251
O  0.618  0.046  0.750
Lu  0.000  0.904  0.750
Mg  0.069  0.750  0.244
O  0.315  0.677  0.955
O  0.186  0.160  0.942
Lu  0.538  0.580  0.251
Co  0.485  0.996  0.502
Lu  0.461  0.397  0.750
Co  0.000  0.470  0.981
O  0.665  0.309  0.447
Co  0.485  0.997  0.998
O  0.860  0.542  0.750

## Properties
space group	No. 1
ΔE_f	-58.02	kcal/mol of atoms
energy	-6.930	eV/atom
E (MP2020)	-7.6345	eV per atom
total magnetic moment	0.00	μB per cell

---

5.
The following is a GGA+U calculation of crystalline Lu2MnCoO6 at its relaxed geometry, from Materials Project.

Cell lengths 5.533, 5.193, 7.551 Å; angles 90.53, 90.00, 90.00 degrees
Fractional positions:
O  0.188  0.200  0.060
O  0.688  0.300  0.440
O  0.549  0.874  0.259
O  0.049  0.626  0.241
Lu  0.575  0.526  0.748
O  0.812  0.800  0.940
Co  0.500  0.000  0.000
O  0.312  0.700  0.560
O  0.793  0.819  0.568
O  0.951  0.374  0.759
O  0.207  0.181  0.432
Mn  0.500  0.000  0.500
Co  0.000  0.500  0.500
O  0.293  0.681  0.932
O  0.451  0.126  0.741
Mn  0.000  0.500  0.000
Lu  0.925  0.026  0.248
O  0.707  0.319  0.068
Lu  0.075  0.974  0.752
Lu  0.425  0.474  0.252

## Properties
space group	No. 14
ΔE_f	-65.83	kcal/mol of atoms
energy	-7.612	eV/atom
E (MP2020)	-8.3548	eV per atom
total magnetic moment	10.00	μB per cell

---

6.
The following is a GGA+U calculation of crystalline MgMn2CoO6 at its relaxed geometry, from Materials Project.

Cell lengths 6.498, 2.986, 6.081 Å; angles 85.97, 101.67, 76.98 degrees